To do:
Your job: reproduce the calculation results below from the first line to the one with "0.257) [2" verbatim.
Listing:
┌──
Record 1
Computed, not measured: a relaxed KZrBr2 crystal at the PBE level of DFT.

a b c (Å): 3.696 3.880 15.362
angles (deg): 90.00 90.00 90.00
Space group Imm2 (No. 44)
Asymmetric unit:
K (0.000, 0.000, 0.000) [2 per cell]
Zr (0.000, 0.500, 0.747) [2 per cell]
Br (0.000, 0.000, 0.616) [2 per cell]
Br (0.000, 0.500, 0.322) [2 per cell]

- V (Å³/atom) = 27.54
- energy relative to the elements, uncorrected (kJ per mole of atoms) = -66.4
- energy above the most stable polymorph in this dataset (meV/atom) = 121.5
- M_tot (μB/f.u.) = 0.87
- Fermi-level density of states (states/eV/f.u.) = 2.0

Record 2
Computed, not measured: a relaxed KZr2Br crystal at the PBE level of DFT.

a b c (Å): 5.261 5.261 8.119
angles (deg): 90.00 90.00 90.00
Space group I-4m2 (No. 119)
Asymmetric unit:
K (0.000, 0.000, 0.000) [2 per cell]
Zr (0.000, 0.000, 0.500) [2 per cell]
Zr (0.000, 0.500, 0.750) [2 per cell]
Br (0.000, 0.500, 0.250) [2 per cell]

- V (Å³/atom) = 28.09
- energy relative to the elements, uncorrected (kJ per mole of atoms) = 73.4
- energy above the most stable polymorph in this dataset (meV/atom) = 1000.7
- M_tot (μB/f.u.) = 4.10
- Fermi-level density of states (states/eV/f.u.) = 4.3

Record 3
Computed, not measured: a relaxed K2Zr2Br crystal at the PBE level of DFT.

a b c (Å): 4.554 4.554 17.500
angles (deg): 90.00 90.00 90.00
Space group I4/mmm (No. 139)
Asymmetric unit:
K (0.000, 0.500, 0.250) [4 per cell]
Zr (0.000, 0.000, 0.067) [4 per cell]
Br (0.000, 0.000, 0.500) [2 per cell]

- V (Å³/atom) = 36.29
- energy relative to the elements, uncorrected (kJ per mole of atoms) = 90.6
- energy above the most stable polymorph in this dataset (meV/atom) = 231.1
- M_tot (μB/f.u.) = 0.00
- Fermi-level density of states (states/eV/f.u.) = 4.8

Record 4
Computed, not measured: a relaxed LaBr crystal at the PBE level of DFT.

a b c (Å): 12.142 12.142 3.938
angles (deg): 90.00 90.00 90.00
Space group I4/m (No. 87)
Asymmetric unit:
La (0.106, 0.337, 0.000) [8 per cell]
Br (0.100, 0.798, 0.000) [8 per cell]

- V (Å³/atom) = 36.28
- energy relative to the elements, uncorrected (kJ per mole of atoms) = -115.6
- M_tot (μB/f.u.) = 0.08
- Fermi-level density of states (states/eV/f.u.) = 2.0

Record 5
Computed, not measured: a relaxed La3Br crystal at the PBE level of DFT.

a b c (Å): 3.8216 3.8216 32.0723
angles (deg): 90.00 90.00 120.00
Space group R-3m (No. 166, hexagonal axes)
Asymmetric unit:
La (0.0000, 0.0000, 0.0000) [3 per cell]
La (0.0000, 0.0000, 0.2417) [6 per cell]
Br (0.0000, 0.0000, 0.5000) [3 per cell]

- V (Å³/atom) = 33.80
- energy relative to the elements, uncorrected (kJ per mole of atoms) = -59.7
- energy above the most stable polymorph in this dataset (meV/atom) = 0.0
- M_tot (μB/f.u.) = 0.00
- Fermi-level density of states (states/eV/f.u.) = 3.0

Record 6
Computed, not measured: a relaxed LaBr5 crystal at the PBE level of DFT.

a b c (Å): 15.262 4.146 7.882
angles (deg): 90.00 100.09 90.00
Space group Cm (No. 8)
Asymmetric unit:
La (0.000, 0.000, 0.000) [2 per cell]
Br (0.066, 0.500, 0.257) [2 per cell]
Br (0.077, 0.500, 0.796) [2 per cell]
Br (0.337, 0.000, 0.811) [2 per cell]
Br (0.342, 0.500, 0.154) [2 per cell]
Br (0.343, 0.000, 0.509) [2 per cell]

- V (Å³/atom) = 40.92
- energy relative to the elements, uncorrected (kJ per mole of atoms) = -115.1
- energy above the most stable polymorph in this dataset (meV/atom) = 48.7
- M_tot (μB/f.u.) = 0.00

Record 7
Computed, not measured: a relaxed LaBr5 crystal at the PBE level of DFT.

a b c (Å): 4.760 20.685 5.889
angles (deg): 90.00 90.00 90.00
Space group Cmmm (No. 65)
Asymmetric unit:
La (0.000, 0.000, 0.000) [2 per cell]
Br (0.000, 0.000, 0.500) [2 per cell]
Br (0.000, 0.269, 0.500) [4 per cell]
Br (0.000, 0.411, 0.000) [4 per cell]

- V (Å³/atom) = 48.33
- energy relative to the elements, uncorrected (kJ per mole of atoms) = -119.8
- energy above the most stable polymorph in this dataset (meV/atom) = 0.0
- M_tot (μB/f.u.) = 0.00
└──
Done:
Record 1
Computed, not measured: a relaxed KZrBr2 crystal at the PBE level of DFT.

a b c (Å): 3.696 3.880 15.362
angles (deg): 90.00 90.00 90.00
Space group Imm2 (No. 44)
Asymmetric unit:
K (0.000, 0.000, 0.000) [2 per cell]
Zr (0.000, 0.500, 0.747) [2 per cell]
Br (0.000, 0.000, 0.616) [2 per cell]
Br (0.000, 0.500, 0.322) [2 per cell]

- V (Å³/atom) = 27.54
- energy relative to the elements, uncorrected (kJ per mole of atoms) = -66.4
- energy above the most stable polymorph in this dataset (meV/atom) = 121.5
- M_tot (μB/f.u.) = 0.87
- Fermi-level density of states (states/eV/f.u.) = 2.0

Record 2
Computed, not measured: a relaxed KZr2Br crystal at the PBE level of DFT.

a b c (Å): 5.261 5.261 8.119
angles (deg): 90.00 90.00 90.00
Space group I-4m2 (No. 119)
Asymmetric unit:
K (0.000, 0.000, 0.000) [2 per cell]
Zr (0.000, 0.000, 0.500) [2 per cell]
Zr (0.000, 0.500, 0.750) [2 per cell]
Br (0.000, 0.500, 0.250) [2 per cell]

- V (Å³/atom) = 28.09
- energy relative to the elements, uncorrected (kJ per mole of atoms) = 73.4
- energy above the most stable polymorph in this dataset (meV/atom) = 1000.7
- M_tot (μB/f.u.) = 4.10
- Fermi-level density of states (states/eV/f.u.) = 4.3

Record 3
Computed, not measured: a relaxed K2Zr2Br crystal at the PBE level of DFT.

a b c (Å): 4.554 4.554 17.500
angles (deg): 90.00 90.00 90.00
Space group I4/mmm (No. 139)
Asymmetric unit:
K (0.000, 0.500, 0.250) [4 per cell]
Zr (0.000, 0.000, 0.067) [4 per cell]
Br (0.000, 0.000, 0.500) [2 per cell]

- V (Å³/atom) = 36.29
- energy relative to the elements, uncorrected (kJ per mole of atoms) = 90.6
- energy above the most stable polymorph in this dataset (meV/atom) = 231.1
- M_tot (μB/f.u.) = 0.00
- Fermi-level density of states (states/eV/f.u.) = 4.8

Record 4
Computed, not measured: a relaxed LaBr crystal at the PBE level of DFT.

a b c (Å): 12.142 12.142 3.938
angles (deg): 90.00 90.00 90.00
Space group I4/m (No. 87)
Asymmetric unit:
La (0.106, 0.337, 0.000) [8 per cell]
Br (0.100, 0.798, 0.000) [8 per cell]

- V (Å³/atom) = 36.28
- energy relative to the elements, uncorrected (kJ per mole of atoms) = -115.6
- M_tot (μB/f.u.) = 0.08
- Fermi-level density of states (states/eV/f.u.) = 2.0

Record 5
Computed, not measured: a relaxed La3Br crystal at the PBE level of DFT.

a b c (Å): 3.8216 3.8216 32.0723
angles (deg): 90.00 90.00 120.00
Space group R-3m (No. 166, hexagonal axes)
Asymmetric unit:
La (0.0000, 0.0000, 0.0000) [3 per cell]
La (0.0000, 0.0000, 0.2417) [6 per cell]
Br (0.0000, 0.0000, 0.5000) [3 per cell]

- V (Å³/atom) = 33.80
- energy relative to the elements, uncorrected (kJ per mole of atoms) = -59.7
- energy above the most stable polymorph in this dataset (meV/atom) = 0.0
- M_tot (μB/f.u.) = 0.00
- Fermi-level density of states (states/eV/f.u.) = 3.0

Record 6
Computed, not measured: a relaxed LaBr5 crystal at the PBE level of DFT.

a b c (Å): 15.262 4.146 7.882
angles (deg): 90.00 100.09 90.00
Space group Cm (No. 8)
Asymmetric unit:
La (0.000, 0.000, 0.000) [2 per cell]
Br (0.066, 0.500, 0.257) [2 per cell]